== Wanted ==
What is needed: reproduce only the lines below with the word "comment" in them.

== Material ==
********
Record 1
LaTlCuI2 | GGA-PBE | optimized geometry

Results
For the uncorrected formation energy, the calculation gives -1.51 eV/f.u. The density of states at the Fermi level comes out at 0.67 states/eV per atom. The density is 5.0 Mg/m³. The calculation puts the energy at -3.200 eV/atom.

Unit cell a=6.3012 b=6.3012 c=5.5048 alpha=90.00 beta=90.00 gamma=90.00
Closest atoms and distances in Å follow each position.
Positions (direct):
Cu (0.0000, 0.0000, 0.5000)  2 La 2.75
I (0.5000, 0.0000, 0.0000)  2 La 3.15
I (0.0000, 0.5000, 0.0000)  2 La 3.15
La (0.0000, 0.0000, 0.0000)  2 Cu 2.75
Tl (0.5000, 0.5000, 0.5000)  8 I 4.18, 4 Cu 4.46


Record 2
La2CuWI | GGA-PBE | optimized geometry

Results
For the uncorrected formation energy, the calculation gives 5.68 eV/f.u. The density of states at the Fermi level comes out at 0.72 states/eV per atom. The density is 6.3 Mg/m³. The calculation puts the energy at -4.555 eV/atom.

Unit cell a=5.9494 b=4.8670 c=5.9494 alpha=90.00 beta=90.00 gamma=90.00
Closest atoms and distances in Å follow each position.
Positions (direct):
W (0.0000, 0.5000, 0.0000)  2 I 2.43
La (0.0000, 0.0000, 0.5000)  2 I 2.97
I (0.0000, 0.0000, 0.0000)  2 W 2.43
Cu (0.5000, 0.5000, 0.5000)  8 La 3.84, 4 W 4.21
La (0.5000, 0.0000, 0.0000)  2 I 2.97


Record 3
LaCuWI2 | GGA-PBE | optimized geometry

Results
For the uncorrected formation energy, the calculation gives 5.65 eV/f.u. The density of states at the Fermi level comes out at 0.07 states/eV per atom. The density is 4.9 Mg/m³. The calculation puts the energy at -3.886 eV/atom.

Unit cell a=6.2196 b=5.6163 c=6.2196 alpha=90.00 beta=90.00 gamma=90.00
Closest atoms and distances in Å follow each position.
Positions (direct):
La (0.0000, 0.0000, 0.0000)  2 Cu 2.81, 4 I 3.11
Cu (0.0000, 0.5000, 0.0000)  2 La 2.81
W (0.5000, 0.5000, 0.5000)  8 I 4.19, 4 Cu 4.40
I (0.0000, 0.0000, 0.5000)  2 La 3.11
I (0.5000, 0.0000, 0.0000)  2 La 3.11

* * * * *

Record 1
4
Lattice="0.0000 3.2065 3.2065 3.2065 0.0000 3.2065 3.2065 3.2065 0.0000" Properties=species:S:1:pos:R:3 comment="SiHgMo2 | OQMD via LeMat-Bulk | PBE-GGA | relaxed" space_group="F-43m, No. 216" pbc="T T T"
Si 0.0000 0.0000 0.0000
Hg 1.6033 1.6033 1.6033
Mo 3.2065 3.2065 3.2065
Mo 4.8098 4.8098 4.8098



Record 2
3
Lattice="0.0000 3.3560 3.3560 3.3560 0.0000 3.3560 3.3560 3.3560 0.0000" Properties=species:S:1:pos:R:3 comment="BaTaPt | OQMD via LeMat-Bulk | PBE-GGA | relaxed" space_group="F-43m, No. 216" pbc="T T T"
Ba 0.0000 0.0000 0.0000
Ta 1.6780 1.6780 1.6780
Pt 3.3560 3.3560 3.3560



Record 3
4
Lattice="0.0000 3.6084 3.6084 3.6084 0.0000 3.6084 3.6084 3.6084 0.0000" Properties=species:S:1:pos:R:3 comment="NaYFeTe | OQMD via LeMat-Bulk | PBE-GGA | relaxed" space_group="F-43m, No. 216" pbc="T T T"
Na 0.0000 0.0000 0.0000
Y 3.6084 3.6084 3.6084
Fe 5.4127 5.4127 5.4127
Te 1.8042 1.8042 1.8042



VASP energy? In order: -6.236; -5.827; -4.815 eV per atom.
********

== Worked solution ==
Lattice="0.0000 3.2065 3.2065 3.2065 0.0000 3.2065 3.2065 3.2065 0.0000" Properties=species:S:1:pos:R:3 comment="SiHgMo2 | OQMD via LeMat-Bulk | PBE-GGA | relaxed" space_group="F-43m, No. 216" pbc="T T T"
Lattice="0.0000 3.3560 3.3560 3.3560 0.0000 3.3560 3.3560 3.3560 0.0000" Properties=species:S:1:pos:R:3 comment="BaTaPt | OQMD via LeMat-Bulk | PBE-GGA | relaxed" space_group="F-43m, No. 216" pbc="T T T"
Lattice="0.0000 3.6084 3.6084 3.6084 0.0000 3.6084 3.6084 3.6084 0.0000" Properties=species:S:1:pos:R:3 comment="NaYFeTe | OQMD via LeMat-Bulk | PBE-GGA | relaxed" space_group="F-43m, No. 216" pbc="T T T"